Retype everything further below without altering anything.

........
# 1
# K3HoF6

A geometry-optimized K3HoF6 structure (GGA-PBE, the Materials Project database).

a = 9.333 Å, b = 9.333 Å, c = 9.333 Å
α = 90.00°, β = 90.00°, γ = 90.00°
Space group Fm-3m (No. 225)
Symmetry-distinct sites (fractional):
K 0.000 0.000 0.000
K 0.250 0.250 0.250
Ho 0.000 0.000 0.500
F 0.000 0.000 0.269

Results
- Energy relative to the elements: -3543 meV per atom
- Raw total energy: -208.23 eV per cell
- M_tot: 0.00 μB/f.u.

# 2
# K3HoF6

A geometry-optimized K3HoF6 structure (GGA-PBE, the Materials Project database).

a = 7.087 Å, b = 7.087 Å, c = 9.180 Å
α = 90.00°, β = 90.00°, γ = 90.00°
Space group I4/mmm (No. 139)
Symmetry-distinct sites (fractional):
K 0.000 0.000 0.000
K 0.000 0.500 0.250
Ho 0.000 0.000 0.500
F 0.000 0.000 0.263
F 0.000 0.305 0.500

Results
- Energy relative to the elements: -3508 meV per atom
- Raw total energy: -103.42 eV per cell
- M_tot: 0.00 μB/f.u.

# 3
# LiHoF2

A geometry-optimized LiHoF2 structure (GGA-PBE, the Materials Project database).

a = 6.368 Å, b = 6.368 Å, c = 12.882 Å
α = 90.00°, β = 90.00°, γ = 90.00°
Space group I4_1/amd (No. 141, origin choice 2)
Symmetry-distinct sites (fractional):
Li 0.000 0.000 0.000
Ho 0.000 0.000 0.500
F 0.000 0.009 0.318

Results
- Energy relative to the elements: -2570 meV per atom
- Raw total energy: -157.41 eV per cell
- M_tot: 0.00 μB/f.u.

# 4
# Na5Ho4Si4O16F

A geometry-optimized Na5Ho4Si4O16F structure (GGA-PBE, the Materials Project database).

a = 11.641 Å, b = 11.641 Å, c = 5.428 Å
α = 90.00°, β = 90.00°, γ = 90.00°
Space group I-4 (No. 82)
Symmetry-distinct sites (fractional):
Na 0.000 0.000 0.000
Na 0.089 0.605 0.493
Ho 0.115 0.182 0.477
Si 0.104 0.754 0.989
O 0.034 0.795 0.742
O 0.049 0.813 0.236
O 0.110 0.613 0.013
O 0.203 0.236 0.066
F 0.000 0.000 0.500

Results
- Energy relative to the elements: -3327 meV per atom
- Raw total energy: -432.17 eV per cell

# 5
# Ho3SOF5

A geometry-optimized Ho3SOF5 structure (GGA-PBE, the Materials Project database).

a = 9.372 Å, b = 3.674 Å, c = 9.424 Å
α = 90.00°, β = 119.56°, γ = 90.00°
Space group Pm (No. 6)
Symmetry-distinct sites (fractional):
Ho 0.000 0.000 0.000
Ho 0.105 0.500 0.690
Ho 0.271 0.500 0.373
Ho 0.526 0.000 0.820
Ho 0.700 0.000 0.505
Ho 0.820 0.500 0.237
S 0.077 0.000 0.442
S 0.733 0.500 0.770
O 0.020 0.500 0.155
O 0.840 0.500 0.490
F 0.132 0.500 0.942
F 0.257 0.000 0.222
F 0.286 0.000 0.825
F 0.357 0.500 0.672
F 0.449 0.000 0.537
F 0.514 0.500 0.374
F 0.561 0.500 0.985
F 0.674 0.000 0.251
F 0.781 0.000 0.055
F 0.975 0.000 0.728

Results
- Energy relative to the elements: -4063 meV per atom
- Raw total energy: -139.07 eV per cell
- M_tot: 0.00 μB/f.u.

# 6
# Ho2SeOF2

A geometry-optimized Ho2SeOF2 structure (GGA-PBE, the Materials Project database).

a = 13.3802 Å, b = 13.3802 Å, c = 3.7327 Å
α = 90.00°, β = 90.00°, γ = 120.00°
Space group P6_3/m (No. 176)
Symmetry-distinct sites (fractional):
Ho 0.0550 0.2882 0.2500
Ho 0.1162 0.6019 0.2500
Se 0.2065 0.4873 0.7500
O 0.0142 0.5879 0.7500
F 0.0666 0.7527 0.2500
F 0.1003 0.2050 0.7500

Results
- Energy relative to the elements: -3659 meV per atom
- Raw total energy: -250.69 eV per cell
- M_tot: 0.00 μB/f.u.

# 7
# Ho2S2F

A geometry-optimized Ho2S2F structure (GGA-PBE, the Materials Project database).

a = 3.732 Å, b = 3.732 Å, c = 11.125 Å
α = 90.00°, β = 90.00°, γ = 90.00°
Space group P4/mmm (No. 123)
Symmetry-distinct sites (fractional):
Ho 0.000 0.000 0.192
S 0.000 0.000 0.412
F 0.000 0.000 0.000

Results
- Energy relative to the elements: -1144 meV per atom
- Raw total energy: -23.60 eV per cell
- M_tot: 0.46 μB/f.u.

# 8
# HoSF

A geometry-optimized HoSF structure (GGA-PBE, the Materials Project database).

a = 3.766 Å, b = 3.766 Å, c = 6.842 Å
α = 90.00°, β = 90.00°, γ = 90.00°
Space group P4/nmm (No. 129, origin choice 2)
Symmetry-distinct sites (fractional):
Ho 0.250 0.250 0.228
S 0.250 0.250 0.643
F 0.250 0.750 0.000

Results
- Energy relative to the elements: -3306 meV per atom
- Raw total energy: -39.17 eV per cell
........

# 1
# K3HoF6

A geometry-optimized K3HoF6 structure (GGA-PBE, the Materials Project database).

a = 9.333 Å, b = 9.333 Å, c = 9.333 Å
α = 90.00°, β = 90.00°, γ = 90.00°
Space group Fm-3m (No. 225)
Symmetry-distinct sites (fractional):
K 0.000 0.000 0.000
K 0.250 0.250 0.250
Ho 0.000 0.000 0.500
F 0.000 0.000 0.269

Results
- Energy relative to the elements: -3543 meV per atom
- Raw total energy: -208.23 eV per cell
- M_tot: 0.00 μB/f.u.

# 2
# K3HoF6

A geometry-optimized K3HoF6 structure (GGA-PBE, the Materials Project database).

a = 7.087 Å, b = 7.087 Å, c = 9.180 Å
α = 90.00°, β = 90.00°, γ = 90.00°
Space group I4/mmm (No. 139)
Symmetry-distinct sites (fractional):
K 0.000 0.000 0.000
K 0.000 0.500 0.250
Ho 0.000 0.000 0.500
F 0.000 0.000 0.263
F 0.000 0.305 0.500

Results
- Energy relative to the elements: -3508 meV per atom
- Raw total energy: -103.42 eV per cell
- M_tot: 0.00 μB/f.u.

# 3
# LiHoF2

A geometry-optimized LiHoF2 structure (GGA-PBE, the Materials Project database).

a = 6.368 Å, b = 6.368 Å, c = 12.882 Å
α = 90.00°, β = 90.00°, γ = 90.00°
Space group I4_1/amd (No. 141, origin choice 2)
Symmetry-distinct sites (fractional):
Li 0.000 0.000 0.000
Ho 0.000 0.000 0.500
F 0.000 0.009 0.318

Results
- Energy relative to the elements: -2570 meV per atom
- Raw total energy: -157.41 eV per cell
- M_tot: 0.00 μB/f.u.

# 4
# Na5Ho4Si4O16F

A geometry-optimized Na5Ho4Si4O16F structure (GGA-PBE, the Materials Project database).

a = 11.641 Å, b = 11.641 Å, c = 5.428 Å
α = 90.00°, β = 90.00°, γ = 90.00°
Space group I-4 (No. 82)
Symmetry-distinct sites (fractional):
Na 0.000 0.000 0.000
Na 0.089 0.605 0.493
Ho 0.115 0.182 0.477
Si 0.104 0.754 0.989
O 0.034 0.795 0.742
O 0.049 0.813 0.236
O 0.110 0.613 0.013
O 0.203 0.236 0.066
F 0.000 0.000 0.500

Results
- Energy relative to the elements: -3327 meV per atom
- Raw total energy: -432.17 eV per cell

# 5
# Ho3SOF5

A geometry-optimized Ho3SOF5 structure (GGA-PBE, the Materials Project database).

a = 9.372 Å, b = 3.674 Å, c = 9.424 Å
α = 90.00°, β = 119.56°, γ = 90.00°
Space group Pm (No. 6)
Symmetry-distinct sites (fractional):
Ho 0.000 0.000 0.000
Ho 0.105 0.500 0.690
Ho 0.271 0.500 0.373
Ho 0.526 0.000 0.820
Ho 0.700 0.000 0.505
Ho 0.820 0.500 0.237
S 0.077 0.000 0.442
S 0.733 0.500 0.770
O 0.020 0.500 0.155
O 0.840 0.500 0.490
F 0.132 0.500 0.942
F 0.257 0.000 0.222
F 0.286 0.000 0.825
F 0.357 0.500 0.672
F 0.449 0.000 0.537
F 0.514 0.500 0.374
F 0.561 0.500 0.985
F 0.674 0.000 0.251
F 0.781 0.000 0.055
F 0.975 0.000 0.728

Results
- Energy relative to the elements: -4063 meV per atom
- Raw total energy: -139.07 eV per cell
- M_tot: 0.00 μB/f.u.

# 6
# Ho2SeOF2

A geometry-optimized Ho2SeOF2 structure (GGA-PBE, the Materials Project database).

a = 13.3802 Å, b = 13.3802 Å, c = 3.7327 Å
α = 90.00°, β = 90.00°, γ = 120.00°
Space group P6_3/m (No. 176)
Symmetry-distinct sites (fractional):
Ho 0.0550 0.2882 0.2500
Ho 0.1162 0.6019 0.2500
Se 0.2065 0.4873 0.7500
O 0.0142 0.5879 0.7500
F 0.0666 0.7527 0.2500
F 0.1003 0.2050 0.7500

Results
- Energy relative to the elements: -3659 meV per atom
- Raw total energy: -250.69 eV per cell
- M_tot: 0.00 μB/f.u.

# 7
# Ho2S2F

A geometry-optimized Ho2S2F structure (GGA-PBE, the Materials Project database).

a = 3.732 Å, b = 3.732 Å, c = 11.125 Å
α = 90.00°, β = 90.00°, γ = 90.00°
Space group P4/mmm (No. 123)
Symmetry-distinct sites (fractional):
Ho 0.000 0.000 0.192
S 0.000 0.000 0.412
F 0.000 0.000 0.000

Results
- Energy relative to the elements: -1144 meV per atom
- Raw total energy: -23.60 eV per cell
- M_tot: 0.46 μB/f.u.

# 8
# HoSF

A geometry-optimized HoSF structure (GGA-PBE, the Materials Project database).

a = 3.766 Å, b = 3.766 Å, c = 6.842 Å
α = 90.00°, β = 90.00°, γ = 90.00°
Space group P4/nmm (No. 129, origin choice 2)
Symmetry-distinct sites (fractional):
Ho 0.250 0.250 0.228
S 0.250 0.250 0.643
F 0.250 0.750 0.000

Results
- Energy relative to the elements: -3306 meV per atom
- Raw total energy: -39.17 eV per cell